The state food establishment rules 25 TAC sections 229.161–229.171, 229.173– 229.175 of the department of state health services, as adopted by said board and effective March 15, 2006, with exception of such sections thereof as are hereinafter deleted, modified or amended, are hereby adopted as the minimum standards for food service operations within the corporate limits of the city.
Wherever the words “authorized agent or employee” appear in said rules, such words shall mean the employees of the regulatory authority.
Wherever the words food establishment and food processing plant appear in said rules, such words shall have the same meaning ascribed to such words in the state food establishment rules.
Wherever the words “municipality of __________” appear in said rules, such words shall mean the City of DeSoto, Texas.
Wherever the words “state rules” appear in said rules, such words shall mean the Texas Department of Health Rules at 25 TAC sections 229.161–229.171 and 229-173–229.175.
Wherever the words regulatory authority appear in said rules, such words shall mean the health department of the city.
25 TAC section 229.171(j)(6) is amended to read as follows:
Inspection report form.
For purposes of Chapter 437, Texas Health and Safety Code, the city shall use the retail food establishment inspection form adopted by the city health department from time to time.
Permits, Licenses or Certificates Generally.
No person shall operate a full-service, temporary or limited-use food establishment who does not have a valid permit issued to him by the regulatory authority. Only a person who complies with the requirements of these rules shall be entitled to receive or retain such a permit. Permits are not transferable. A valid permit shall be posted in every food establishment. Permits shall be valid for a period of one year from the date of issuance. The fee for initial issuance of a permit shall be established by resolution by the city council as it may determine from time to time and shall accompany the application required herein below. The fee for each annual renewal of the permit shall be in an amount established by resolution of the city council from time to time. Any failure to pay the annual fee shall cause the permit to be automatically revoked.
Issuance of Permit.
The following provisions shall apply to the issuance of permits:
Any person desiring to operate a food establishment shall make a written application for a permit on forms provided by the regulatory authority. Such application shall include the name and address of each applicant, the location and type of the proposed food establishment, and the signature of each applicant.
Prior to approval of an application for a permit, the regulatory authority shall inspect the proposed food establishment to determine compliance with the requirements of these rules.
The regulatory authority shall issue a permit to the applicant if its inspection reveals that the proposed food establishment complies with the requirements of these rules.
Suspension of Permit.
The following shall apply to the suspension of permits for the operation of a food establishment:
The regulatory authority may, without warning, notice, or hearing, suspend any permit to operate a food establishment if the holder of the permit does not comply with the requirements of this section, or if the operation of the food establishment otherwise constitutes a substantial hazard to public health. Suspension is effective upon service of the notice required by subsection (f) of this section. When a permit is suspended, food operations shall immediately cease. Whenever a permit is suspended, the holder of the permit shall be afforded an opportunity for a hearing within 20 days of receipt of a request for a hearing.
Whenever a permit is suspended, the holder of the permit, or the person in charge, shall be notified in writing that the permit is, upon service of the notice, immediately suspended and that an opportunity for a hearing will be provided if a written request for a hearing is filed with the regulatory authority by the holder of the permit, license or certificate within ten days. If no written request for hearing is filed within ten days, the suspension is sustained. The regulatory authority may end the suspension at any time if reasons for suspension no longer exist.
Revocation of Permit.
The regulatory authority may, after providing opportunity for a hearing, revoke a permit for serious or repeated violations of any of the requirements of these rules or for interference with the regulatory authority in the performance of its duties. Prior to revocation, the regulatory authority shall notify the holder of the permit, or the person in charge, in writing of the reason for which the permit is subject to revocation and that the permit shall be revoked at the end of the ten days following service of such notice unless a written request for a hearing is filed with the regulatory authority by the holder of the permit within such ten-day period. If no request for hearing is filed within the ten-day period, the revocation of the permit becomes final.
Service of Notices.
A notice provided for in these rules is properly served when it is delivered to the holder of the permit, or the person in charge, or when it is sent by registered or certified mail, return receipt requested, to the last known address of the holder of the permit. A copy of the notice shall be filed in the records of the regulatory authority.
The hearings provided for in these rules shall be conducted by the regulatory authority at a time and place designated by it. Based upon the recorded evidence of such hearing, the regulatory authority shall make a final finding, and shall sustain, modify or rescind any notice or order considered in the hearing. A written report of the hearing decision shall be furnished to the holder of the permit by the regulatory authority.
Application After Revocation.
Whenever a revocation of a permit has become final, the holder of the revoked permit may make written application for a new permit.
An inspection of a food establishment shall be performed at least once every twelve months. Additional inspections of the food establishment shall be performed as often as necessary for the enforcement of this section.
Correction of Violations.
The following shall apply to the correction of violations:
Failure to comply with any time limits for corrections may result in cessation of food operations. An opportunity for appeal from the inspection findings and time limitations will be provided if a written request for a hearing is filed with the regulatory authority within ten days following cessation of operations. If a request for a hearing is received, a hearing shall be held within twenty (20) days of receipt of that request.
Whenever a food establishment is required under the provisions of this section to cease operations, it shall not resume operations until such time as a reinspection determines that conditions responsible for the requirement to cease operations no longer exists. Opportunity for reinspection shall be offered within a reasonable time.
Examination and Condemnation of Food.
Food may be examined or sampled by the regulatory authority as often as necessary for enforcement of this section. The regulatory authority may, upon written notice to the owner or person in charge specifying with particularity the reasons therefor, place a hold order on any food which it believes is in violation of the state food establishment rules. The regulatory authority shall tag, label, or otherwise identify any food subject to the hold order. No food subject to a hold order shall be used, served, or moved from the establishment. The regulatory authority shall permit storage of the food under conditions specified in the hold order, unless storage is not possible without risk to the public health, in which case immediate destruction shall be ordered and accomplished. The hold order shall state that a request for hearing may be filed within ten days and that if no hearing is requested the food shall be destroyed. A hearing shall be held if so requested, and on the basis of evidence produced at that hearing, the hold order may be vacated, or the owner or person in charge of the food may be directed by written order to denature or destroy such food or to bring it into compliance with the provisions of this section.
Review of Plans.
The following shall apply when food establishments are remodeled or constructed:
Whenever a food establishment is constructed or extensively remodeled and whenever an existing structure is converted to use as a food establishment, properly prepared plans and specifications for such construction, remodeling, or conversion shall be submitted to the regulatory authority for review and approval before construction, remodeling or conversion is begun. The plans and specifications shall indicate the proposed layout, arrangement, mechanical plans, and construction materials of work areas, and the type and model of proposed fixed equipment and facilities. The regulatory authority shall approve the plans and specifications if they meet the requirements of the state food establishment rules. No food establishment shall be constructed, extensively remodeled, or converted except in accordance with plans and specifications approved by the regulatory authority.
Whenever plans and specifications are required to be submitted to the regulatory authority, the regulatory authority shall inspect the food establishment prior to its beginning operation to determine compliance with the approved plans and specifications and with the requirements of this section.
(Ordinance 1768-07 adopted 12/18/07)
The city council finds that the health department manager or designee shall have the authority to enforce the provisions of this article.
(Ordinance 1768-07 adopted 12/18/07)
Every person owning, employed by or otherwise connected with a food service or food establishment whose work brings them into contact with the handling of food, utensils or food service equipment, shall, within 30 days of the date of such employment, possess a current valid food handler’s certificate issued by the health department manager. Owners, managers or persons otherwise controlling any food service or food establishment shall not employ or permit any person to remain employed therein who does not meet this requirement.
To receive a food handling certificate, a person must satisfactorily complete an approved course of study in sanitary food handling and pay the required fee.
The health department manager shall be responsible for conducting an approved course of study in sanitary food handling as often as necessary for carrying out the purposes of this section. State-approved food protection management training as required by Chapter 428, Subchapter D, Texas Health and Safety Code, as amended, may be substituted for the course provided by the health department manager.
The fee for obtaining a food handling certificate and the fee for replacement of a lost certificate shall be established from time to time by the city council by resolution.
Temporary food service establishments operated in conjunction with a special event shall be exempt from this requirement.
Every certificate issued hereunder shall remain effective for a period of three years and may be renewed upon successful completion of additional approved refresher courses and payment of renewal fees.
Every food service or food establishment shall have available on the premises at all times the food handling certificate of each employee for inspection, and if requested, shall provide the health department manager with documentation of the date of employment of any employee of such establishment.
........
# 1
## AgBiI4O12 (PBE)

Data for AgBiI4O12 after structural relaxation.

Output
* calculated formation energy: -926 meV/atom
* uncorrected energy: -4.479 eV per atom

Unit cell a=32.152 b=5.689 c=12.881 alpha=90.00 beta=90.61 gamma=90.00
Space group Cc (No. 9)
Asymmetric unit:
Ag1 0.000 0.210 0.000
Ag2 0.073 0.265 0.413
Bi1 0.117 0.285 0.119
Bi2 0.410 0.184 0.118
I1 0.031 0.244 0.659
I2 0.135 0.199 0.827
I3 0.193 0.238 0.526
I4 0.232 0.316 0.257
I5 0.294 0.177 0.985
I6 0.333 0.267 0.716
I7 0.391 0.301 0.412
I8 0.472 0.200 0.820
O1 0.008 0.052 0.311
O2 0.012 0.490 0.866
O3 0.053 0.476 0.573
O4 0.059 0.002 0.099
O5 0.100 0.397 0.752
O6 0.103 0.174 0.944
O7 0.114 0.087 0.282
O8 0.148 0.435 0.495
O9 0.167 0.046 0.621
O10 0.184 0.441 0.196
O11 0.189 0.048 0.410
O12 0.232 0.489 0.376
O13 0.258 0.015 0.068
O14 0.269 0.477 0.178
O15 0.291 0.005 0.866
O16 0.338 0.441 0.836
O17 0.342 0.051 0.041
O18 0.358 0.462 0.623
O19 0.377 0.064 0.744
O20 0.413 0.431 0.967
O21 0.423 0.323 0.294
O22 0.427 0.092 0.483
O23 0.468 0.100 0.684
O24 0.483 0.328 0.083

# 2
## Rb2AgBiI6 (PBE)

Data for Rb2AgBiI6 after structural relaxation.

Output
* calculated formation energy: -1040 meV/atom
* uncorrected energy: -2.595 eV per atom

Unit cell a=12.198 b=12.198 c=12.198 alpha=90.00 beta=90.00 gamma=90.00
Space group Fm-3m (No. 225)
Asymmetric unit:
Rb1 0.250 0.250 0.250
Ag1 0.000 0.000 0.000
Bi1 0.000 0.000 0.500
I1 0.000 0.000 0.247

# 3
## Ag25Bi3O18 (PBE)

Data for Ag25Bi3O18 after structural relaxation.

Output
* calculated formation energy: -552 meV/atom
* uncorrected energy: -4.013 eV per atom

Unit cell a=11.7457 b=11.7457 c=6.4112 alpha=90.00 beta=90.00 gamma=120.00
Space group P-3 (No. 147)
Asymmetric unit:
Ag1 0.0000 0.0000 0.0000
Ag2 0.0000 0.5000 0.0000
Ag3 0.0000 0.5000 0.5000
Ag4 0.0208 0.7500 0.1555
Ag5 0.0482 0.3047 0.3393
Ag6 0.2350 0.7509 0.7524
Bi1 0.0000 0.0000 0.5000
Bi2 0.3333 0.6667 0.2408
O1 0.0776 0.9047 0.7067
O2 0.1603 0.6893 0.0606
O3 0.1825 0.5063 0.4512

* * * * *

No. 1
# Na6NiO4, optimized geometry, DFT GGA+U
data_Na6NiO4
_cell_length_a 7.4600
_cell_length_b 9.2904
_cell_length_c 9.2898
_cell_angle_alpha 107.95
_cell_angle_beta 90.00
_cell_angle_gamma 90.00
_space_group_name_H-M_alt 'P 1'
_space_group_IT_number 1
loop_
_space_group_symop_operation_xyz
'x,y,z'
loop_
_atom_site_label
_atom_site_type_symbol
_atom_site_fract_x
_atom_site_fract_y
_atom_site_fract_z
Na1 Na 0.2501 0.2024 0.4524
Na2 Na 0.2501 0.7039 0.9539
Na3 Na 0.2501 0.9533 0.2033
Na4 Na 0.2500 0.4528 0.7029
Na5 Na 0.7500 0.7961 0.5477
Na6 Na 0.7500 0.2977 0.0462
Na7 Na 0.7500 0.0480 0.7959
Na8 Na 0.7500 0.5460 0.2979
Na9 Na 0.5380 0.3551 0.3939
Na10 Na 0.5361 0.8569 0.8929
Na11 Na 0.9623 0.3552 0.3938
Na12 Na 0.9641 0.8570 0.8928
Na13 Na 0.5377 0.1438 0.6053
Na14 Na 0.5359 0.6427 0.1070
Na15 Na 0.9620 0.1440 0.6051
Na16 Na 0.9640 0.6429 0.1069
Na17 Na 0.0371 0.8574 0.3944
Na18 Na 0.0380 0.3569 0.8928
Na19 Na 0.4627 0.8572 0.3945
Na20 Na 0.4618 0.3568 0.8930
........
## The materials data stop here
Certificates are the property of the person named thereon and must be returned by employees to such person upon cessation of employment.
(Ordinance 1768-07 adopted 12/18/07)